On Frank Bruni’s Embarrassing “Centrism is Sexy!” Column
Photo by Neilson Barnard/Getty
“Better is possible. It does not take genius. It takes diligence. It takes moral clarity. It takes ingenuity. And above all, it takes a willingness to try.”
_Calculated molecules that have nothing to do with the page_
Entry 1:
C20H24BF4LaNOP2 | ωB97M-V/def2-TZVPD

Last column: Mulliken charge in e.
Geometry (Å):
C (-0.672, 2.159, -4.714)  -0.719
C (-0.257, 2.235, -3.387)  0.299
C (-1.270, 2.241, -2.372)  0.413
C (-2.635, 2.239, -2.726)  0.809
C (-2.994, 2.216, -4.071)  -0.829
C (-2.023, 2.141, -5.066)  -0.987
C (-3.684, 2.258, -1.635)  -1.180
C (-3.152, 2.965, -0.402)  0.878
C (-1.764, 2.969, -0.145)  0.224
C (-1.241, 3.558, 1.056)  -0.080
C (-2.151, 4.051, 1.992)  -0.650
C (-3.524, 4.082, 1.720)  -0.977
C (-4.002, 3.583, 0.509)  -0.870
H (0.078, 2.127, -5.500)  0.408
H (-4.052, 2.284, -4.307)  0.448
H (-2.319, 2.121, -6.112)  0.400
H (-4.595, 2.762, -1.978)  0.550
H (-1.775, 4.454, 2.934)  0.439
H (-4.204, 4.510, 2.450)  0.410
H (-5.055, 3.648, 0.261)  0.439
N (-0.933, 2.229, -1.006)  -0.052
La (-0.195, 0.128, -0.171)  1.543
C (1.222, 2.217, -3.050)  -1.024
H (1.474, 3.042, -2.365)  0.346
H (1.826, 2.297, -3.963)  0.532
C (0.246, 3.535, 1.374)  -1.111
H (0.833, 3.870, 0.506)  0.352
H (0.470, 4.174, 2.238)  0.565
P (1.681, 0.642, -2.205)  0.639
P (0.838, 1.828, 1.799)  0.712
C (0.115, 1.545, 3.447)  -1.317
H (0.226, 0.479, 3.690)  0.368
H (0.656, 2.150, 4.186)  0.427
H (-0.951, 1.798, 3.465)  0.362
C (2.619, 1.975, 2.123)  -1.222
H (2.804, 2.620, 2.993)  0.432
H (3.002, 0.962, 2.323)  0.404
H (3.132, 2.370, 1.233)  0.328
C (1.457, -0.607, -3.521)  -1.302
H (2.265, -0.527, -4.257)  0.424
H (1.487, -1.601, -3.053)  0.391
H (0.487, -0.490, -4.022)  0.382
C (3.479, 0.724, -1.979)  -1.219
H (3.780, -0.180, -1.432)  0.400
H (3.996, 0.766, -2.944)  0.438
H (3.733, 1.600, -1.368)  0.343
C (-2.404, -0.408, 1.849)  0.140
O (-2.975, -1.158, 2.488)  -0.158
H (-4.073, 1.265, -1.443)  0.344
F (1.413, -1.914, -0.056)  -0.321
B (0.374, -2.522, 0.748)  0.402
F (-0.833, -2.315, -0.051)  -0.427
F (0.582, -3.797, 1.082)  -0.210
F (0.213, -1.616, 1.857)  -0.336

Forces on atoms 1 to 2 (eV/Å):
-0.199 -0.080 -0.142
-0.706 -0.386 0.502

The total energy is -55654.3839 eV. As for the largest force on an atom: 2.7 eV/Å. The total charge is +1. The frontier orbital gap comes out at 6.3 eV.



Entry 2:
C15H16N2O3 | ωB97M-V/def2-TZVPD

Last column: Mulliken charge in e.
Geometry (Å):
O (-3.141, -0.333, 3.218)  -0.473
C (-2.220, -1.006, 2.959)  0.000
C (-0.902, -0.751, 2.215)  0.135
C (-0.578, 0.465, 1.869)  -0.534
N (0.617, 0.491, 1.410)  0.435
C (0.988, -1.028, 1.422)  0.239
C (2.053, -1.687, 0.955)  -0.172
C (2.521, -2.887, 1.161)  -0.938
C (1.547, -3.678, 1.847)  -0.836
C (0.262, -3.059, 2.254)  -0.869
C (0.228, -1.891, 1.965)  1.332
H (-0.289, -3.752, 2.840)  0.421
H (1.578, -4.577, 2.071)  0.692
H (3.347, -3.470, 0.680)  0.337
H (3.081, -0.938, 0.434)  -0.021
C (1.226, 1.292, 0.661)  -1.305
H (1.926, 1.072, 0.000)  0.620
H (1.734, 1.973, 1.420)  0.261
C (0.456, 2.372, -0.226)  0.471
O (0.122, 3.348, 0.192)  -0.539
N (-0.217, 1.791, -1.098)  0.187
C (-0.025, 0.248, -1.770)  0.442
H (1.006, 0.391, -2.349)  0.208
H (-0.044, -0.475, -1.019)  0.180
C (-0.814, 0.164, -2.735)  -1.339
— Better: A Surgeon’s Notes on Performance by Atul Gawande
After years of lazy contempt, the centrists decided to address the unwashed masses. Frank Bruni wrote a column in the New York Times titled “The Center is Sexier Than You Think.” It was embarrassing.
Bruni’s argument rests on two pillars: One, centrism is what people want. Two, centrism is pragmatic and realistic. Both are demonstrably false.
The supposed center doesn’t exist.
Look at all these centrists!
This plot of the economic vs social positions of the 2016 electorate invalids the Dem’s belief they need to move R economically to win pic.twitter.com/ZIewfsJbvE
— d@r6y (@DarbyKathleen) June 21, 2017
The numbers disprove centrism: polls show the public favors progressive ideas. History disproves centrism: eighty years ago, a much more conservative America gave Roosevelt four terms. Modern politics disproves centrism: Trump was so extreme that the GOP punished him … by voting him President. Where was the mighty centrist push-back? As one writer put it, the only center of modern American politics “consists of policies the people who finance elections want to see enacted.” Centrism is the house belief of the American ruling class.
When he reviews Democratic fortunes, Bruni is either ignorant or disingenuous. He recycles thoughtless cliche. He treats the utterance of corporate-funded third-way hacks as if it was holy writ. He misrepresents Conor Lamb and other politicians. He blathers about the success of machine Democrats, without mentioning how the national party has led a constant campaign to purge progressives from their primaries. In Pennsylvania, a woman named Jess King tried to fight the machine. But:
It turned out the Democratic Party had other ideas — or, at least, it had an old idea. As is happening in races across the country, party leaders in Washington and in the Pennsylvania district rallied, instead, around a candidate who, in 2016, had raised more money than a Democrat ever had in the district and suffered a humiliating loss anyway. … across the country, the DCCC, its allied groups, or leaders within the Democratic Party are working hard against some of these new candidates for Congress, publicly backing their more established opponents, according to interviews with more than 50 candidates, party operatives, and members of Congress.
Bruni uses the word “pragmatic” as opposed to progressive. In Bruni’s case, “pragmatic” means “non-ideological,” and the only non-ideological position is centrism.
Let’s put a stake through this vampire once and for all: Centrism is not the absence of an ideology. It is an ideology. It is a belief in the current system. Centrists benefit from the status quo. They have the privilege of mocking change. They are not materially effected by current oppression.
Bruni won’t tell you what Beltway centrism actually means. None of the centrists will.
What does it mean, to believe in the status quo?
I will tell you their platform.
Centrism believes in the drug war. It believes in the carceral state. It believes in student debt. It believes in medical debt. It believes in the righteousness of all American wars: past, present, and future. It believes that the rich are doin’ just fine. It believes that Washington is the home of the best and brightest. It believes in institutions.
Centrism says it believes in the dignity of people of color, but is scared of Black Lives Matter. It says it believes in Native Americans, but approves of the Keystone Pipeline. It says it believes in women, but only to the extent that there should be more female CEOs.
Centrism believes in modern capitalism. It believes in the meritocracy. It believes in droning. It believes in the eternal crusade in Iraq and Afghanistan. It believes that wages are just about right. It believes in Nancy Pelosi and Mitch McConnell, and it believes in how great they are together. It believes in civility during a time of child-cages. It believes that everything was fine the day before Donald Trump took office. It believes the youth are whining about nothing. It believed Harvey Weinstein until the moment it was no longer “pragmatic” to do so. It believes in the personal and moral superiority of Jeff Bezos, Warren Buffet, and the late Steve Jobs. It believes in the troops, but only long enough to thank them for their service, never long enough to listen to them about the VA.
Centrism believes private insurance companies are good. It believes in taxing soda consumers but not laying a finger on corporate agriculture. It believes in Silicon Valley. It believes in the New York Times, The Washington Post, TIME Magazine, the Ivy League, the Fortune 500, Steven Pinker, David Brooks, Tom Friedman, and in the universality of consumer electronics. It believes the Never Trumpers have power outside of the Coasts. Centrism began believing in gay marriage in about, oh, 2012. Centrism believes in vote-shaming: if the bad centrist candidate lost the election, it is the fault of the American people.
(Inserted here: data records)
+++
(1)
The following is a DFT calculation (ωB97M-V/def2-TZVPD) of 2 unconnected molecules or ions with the total composition C3H9FSi.

Geometry as ORCA input:
```
! RIJCOSX wB97M-V def2-TZVPD def2/J DEFGRID3
* xyz 0 3
C -1.959 0.370 -0.362
C 0.756 -1.095 -1.537
C 1.717 1.387 2.278
F -1.436 -2.383 -0.369
Si -0.624 -0.971 -0.247
H -2.814 0.091 0.248
H -1.605 1.335 -0.018
H -2.302 0.481 -1.390
H 1.291 -0.158 -1.648
H 1.475 -1.860 -1.263
H 0.338 -1.365 -2.507
H 2.194 0.826 1.503
H 2.256 1.627 3.164
H 0.712 1.715 2.148
*
```

ΔE to the lowest compared entry with this formula, charge and spin: 0.0 kcal/mol
LUMO level (alpha / beta): 1.032 / -0.509 eV

(2)
The following is a DFT calculation (ωB97M-V/def2-TZVPD) of a molecular structure, C12H25Cl2GaN3 at a distorted geometry.

Geometry as ORCA input:
```
! RIJCOSX wB97M-V def2-TZVPD def2/J DEFGRID3
* xyz -1 1
Ga 0.817 0.694 0.904
Cl -0.285 2.406 0.064
Cl 2.129 1.104 2.597
C 1.539 -0.304 -0.662
H 1.642 -1.394 -0.753
H 2.183 0.275 -1.346
C -1.162 -1.446 -2.777
C 0.115 -1.845 -3.008
H -1.882 -2.115 -2.303
C 1.174 -0.940 -3.565
H 0.453 -2.839 -2.698
C 0.702 0.533 -3.638
H 2.071 -1.003 -2.943
H 1.462 -1.255 -4.584
C -0.747 0.622 -4.098
H 0.812 0.968 -2.639
H 1.346 1.092 -4.328
C -1.665 -0.060 -3.076
H -1.043 1.663 -4.259
H -0.840 0.100 -5.054
H -1.678 0.549 -2.155
H -2.698 -0.084 -3.451
C -3.035 -1.343 2.530
N -1.769 -1.741 3.126
C -1.829 -2.798 4.123
C -0.603 -1.357 2.548
N -0.638 -0.484 1.550
N 0.571 -1.863 3.050
C 0.895 -1.751 4.462
C 1.641 -2.321 2.180
H -3.828 -1.713 3.181
H -3.161 -1.772 1.523
H -3.097 -0.251 2.467
H -1.056 -3.556 3.936
H -1.688 -2.390 5.137
H -2.820 -3.262 4.065
H -1.589 -0.341 1.216
H 1.962 -1.507 4.542
H 0.316 -0.946 4.935
H 0.706 -2.696 4.991
H 1.410 -3.326 1.793
H 1.790 -1.647 1.323
H 2.558 -2.371 2.774
*
```

ΔE to the lowest compared entry with this formula, charge and spin: 4.2 kcal/mol
LUMO level: 2.392 eV

(3)
The following is a DFT calculation (ωB97M-V/def2-TZVPD) of 2 unconnected molecules or ions with the total composition C12H17N at a distorted geometry.

Geometry as ORCA input:
```
! RIJCOSX wB97M-V def2-TZVPD def2/J DEFGRID3
* xyz 0 1
C 1.712 2.488 -0.441
C 0.673 1.818 0.395
C 0.634 1.772 1.746
N -0.510 1.108 2.163
C -1.197 0.672 1.058
C -2.401 -0.024 0.971
C -2.887 -0.281 -0.294
C -2.192 0.153 -1.446
C -1.052 0.908 -1.334
C -0.451 1.067 -0.072
H 2.561 1.847 -0.677
H 2.060 3.397 0.038
H 1.335 2.822 -1.407
H 1.196 2.345 2.472
H -0.580 0.668 3.064
H -3.055 -0.223 1.816
H -3.828 -0.788 -0.453
H -2.693 -0.022 -2.387
H -0.510 1.222 -2.228
C 1.474 -2.547 0.461
C 2.207 -3.208 -0.694
C 2.054 -2.404 -2.002
H 0.569 -2.037 0.103
H 2.034 -1.725 0.900
H 1.096 -3.225 1.226
H 3.273 -3.270 -0.466
H 1.842 -4.230 -0.821
H 1.722 -1.383 -1.807
H 2.992 -2.305 -2.545
H 1.326 -2.860 -2.670
*
```

SMILES string: Cc1c[nH]c2ccccc12.CCC
ΔE to the lowest compared entry with this formula, charge and spin: 11.0 kcal/mol
LUMO level: 0.924 eV

| no. | total energy (eV) |
+++
Centrism says it loves Martin Luther King. Martin Luther King did not love centrism. King understood how the Brunis of the world worked. He wrote:
Attached: data records:
┌──
DFT (ωB97M-V with the def2-TZVPD basis set) results for a molecular structure, C48H70O8STa.

Each line ends with the Löwdin charge.
Geometry (Å):
Ta1 -0.225046 0.201901 -0.077033  2.0456
C1 1.383117 2.233729 -2.059239  0.0286
O1 1.277058 0.995437 -1.281310  -0.3279
C2 2.418634 0.106609 -1.474329  -0.1713
C3 2.370711 -0.802371 -2.521964  -0.1206
C4 1.186476 -1.000041 -3.443154  -0.0451
C5 0.474633 -2.286687 -3.095311  -0.1298
C6 0.660989 -3.447389 -3.839059  0.0492
C7 0.083117 -4.658198 -3.473446  -0.1275
C8 -0.719294 -4.675277 -2.329057  0.0476
C9 -0.939378 -3.545004 -1.562327  -0.1244
C10 -1.785091 -3.556228 -0.314561  -0.0477
C11 -0.933669 -3.499241 0.937077  -0.1262
C12 -0.251625 -4.641378 1.327556  0.0394
C13 0.609547 -4.667089 2.427385  -0.1383
C14 0.747730 -3.494171 3.160360  0.0538
C15 0.077514 -2.321462 2.820447  -0.1178
C16 0.314205 -1.078414 3.653086  -0.0430
C17 1.701615 -0.528659 3.417606  -0.1241
C18 2.721923 -0.628776 4.344939  0.0461
C19 4.013188 -0.162676 4.079100  -0.1262
C20 4.246738 0.437113 2.844567  0.0549
C21 3.252125 0.566788 1.878056  -0.1200
C22 3.542123 1.207518 0.536916  -0.0499
C23 3.493156 0.222773 -0.606983  -0.1213
C24 4.563365 -0.640064 -0.804342  0.0595
C25 4.576151 -1.587677 -1.822620  -0.1323
C26 3.469036 -1.636817 -2.670209  0.0395
C27 5.721506 -2.577094 -2.018398  -0.5488
C28 5.166604 -3.993775 -1.792992  -0.0293
C29 6.863037 -2.336587 -1.030255  -0.0509
C30 6.268621 -2.454776 -3.446938  -0.0259
C31 2.005565 0.064611 2.201028  -0.1930
O2 0.974781 0.137501 1.270397  -0.2153
C32 5.102384 -0.322565 5.136262  -0.5557
C33 4.683661 0.423226 6.411087  -0.0313
C34 5.267873 -1.819691 5.443823  -0.0332
C35 6.447995 0.228762 4.665503  -0.0558
C36 -0.735569 -2.353855 1.700772  -0.1875
O3 -1.401806 -1.143650 1.301912  -0.3052
C37 -2.818820 -1.175425 1.615805  -0.0241
C38 1.383351 -5.942523 2.751189  -0.5495
C39 2.308413 -6.249053 1.561326  -0.0309
C40 2.240908 -5.790720 4.007879  -0.0513
C41 0.402574 -7.103894 2.958360  -0.0270
C42 -0.318393 -2.374903 -1.967764  -0.1978
O4 -0.514162 -1.216345 -1.213308  -0.2265
C43 0.297737 -5.946454 -4.263221  -0.5550
C44 1.218149 -5.737249 -5.465604  -0.0551
C45 -1.059572 -6.459807 -4.766304  -0.0297
C46 0.935635 -6.992617 -3.336706  -0.0336
H1 1.237247 1.993857 -3.108559  0.1132
H2 2.377486 2.635010 -1.890167  0.1222
H3 0.632708 2.923901 -1.691973  0.0871
H4 1.544911 -1.055852 -4.470689  0.1438
H5 0.505692 -0.148386 -3.402244  0.0987
H6 1.276465 -3.391239 -4.727664  0.1175
H7 -1.197368 -5.600073 -2.027420  0.1276
H8 -2.378555 -4.470313 -0.291129  0.1435
H9 -2.492560 -2.729186 -0.368493  0.1107
H10 -0.385897 -5.538737 0.734085  0.1313
H11 1.396113 -3.471680 4.026853  0.1223
H12 0.201624 -1.331593 4.707266  0.1412
H13 -0.436990 -0.317085 3.431013  0.1094
H14 2.503687 -1.082480 5.304605  0.1285
H15 5.230529 0.825130 2.615235  0.1172
H16 4.542046 1.639277 0.575676  0.1415
H17 2.860060 2.031357 0.337338  0.0887
H18 5.405594 -0.558633 -0.129921  0.1253
└──
I must confess that over the past few years I have been gravely disappointed with the white moderate. I have almost reached the regrettable conclusion that the Negro’s great stumbling block in his stride toward freedom is not the White Citizen’s Counciler or the Ku Klux Klanner, but the white moderate, who is more devoted to “order” than to justice; who prefers a negative peace which is the absence of tension to a positive peace which is the presence of justice; who constantly says: “I agree with you in the goal you seek, but I cannot agree with your methods of direct action”; who paternalistically believes he can set the timetable for another man’s freedom; who lives by a mythical concept of time and who constantly advises the Negro to wait for a “more convenient season.” Shallow understanding from people of good will is more frustrating than absolute misunderstanding from people of ill will.
Centrism believes in all of these things fully, without reflection, and will believe in them as the Republic collapses. Centrism is profoundly uncomfortable with moral clarity.
Above all, centrism believes it is pragmatic.
There is a very simple test to determine practicality. Practicality is what works. Centrism does not work. It cannot fight Trump. It cannot fight the right. It cannot bring people to the polls. It cannot win elections.
If your sole justification is how successful and effective you are, then you have to go away when you stop being effective and successful.
Listen up, Bruni. I’m a leftist. Our political platform is simple and straightforward. The public doesn’t have enough money or power. Their money and power were stolen by elites. We will fix this. We will take the power and money and give it back to the public. We will elect politicians who believe in this program. We will oppose the politicians who don’t.
Why is Beltway centrism a failure? Because it is unrealistic. Their creed is a masterpiece of contortion. Being a centrist is like being an anti-vaxxer: you have to do so much mental work to keep the real world out.
Centrism requires that you accept twenty-two fantasies as scientific laws:
1. Change isn’t popular.
2. Bipartisanship still works.
3. Process matters more than results.
4. Politics is mostly about manners.
5. The rest of the country is exactly like my social circle.
6. The Midwest and South would never elect progressive candidates.
7. Billionaires are good people, and will act justly.
8. It is practical to continue global wars forever.
9. The far right will act sane.
10. Our environmental policy is rational and sustainable.
11. Our economic structure is rational and sustainable.
12. This is still the 1990s.
13. The system works and will keep working.
14. America is already great, and always has been.
15. If anything bad happens, it’s the Russians.
16. Universal health care is impossible.
17. Strong unions are impossible.
18. Alternative economics are impossible.
19. Millennials love centrism.
20. The future will look like today.
21. A better world is impossible.
22. Whatever is, is right.
Imagine being the kind of pundit who unquestioningly believes these brain-fevers. Imagine writing an editorial for a national newspaper, and calling this heap of self-serving banalities “sexy.” Imagine punching down at the people who care.
We fight for a better world. What do you fight for, Frank?